Lightyears is a difficult book to classify or describe.
That makes it impossible to sell it to the major publishers,
who require every author to tell how their book resembles
one on the NY Times Bestseller List! Do they think any
great book would resemble anything on that list? No,
greatness is a function of originality.
This book more resembles Euclid's
Elements, Galileo's Dialogues, Newton's Principia, Adam
Smith's Wealth of Nations, or Darwin's Origins of Species,
in being quite unlike any pre-existing book, and in
founding new sciences. If utopian analysis, psychical
research, or empirical metaphysics ever become accepted
sciences, it will be due in no small measure to this
Jumping Lightyears makes one expect
physics, astronomy and space technology, and there are
a few chapters on those subjects, near the beginning,
which only come to the standard conclusion, that physics
does not permit interstellar travel. So those chapters
are mere prologue, which one may skip.
The real gist of the book begins when
Dr.H delves into Forbidden or brand new sciences which
he has just invented. The Science of Civilization is
wholly his invention, though based on the work of the
philosophers Hobbes and Locke, 300 years ago. Empirical
metaphysics is based on C.G. Jung, Arnold Toynbee, and
William James. Quite a bit of the book is devoted to
********
GGA-PBE AlSn2O4, optimized geometry; E (MP2020) = -6.457 eV/atom; M_tot = 0.0 Bohr magnetons per cell; ΔE_f = -1.9489 eV/atom; space-group type = Fd-3m, No. 227
1.0
0.0000 4.6113 4.6113
4.6113 0.0000 4.6113
4.6113 4.6113 0.0000
Al Sn O
2 4 8
Cartesian
6.9170 6.9170 6.9170
4.6113 4.6113 4.6113
3.4585 3.4585 1.1528
1.1528 1.1528 1.1528
3.4585 1.1528 3.4585
1.1528 3.4585 3.4585
5.8649 7.9690 5.8649
3.5592 5.6634 5.6634
5.6634 5.6634 3.5592
3.5592 3.5592 3.5592
7.9690 5.8649 5.8649
5.6634 3.5592 5.6634
5.8649 5.8649 7.9690
7.9690 7.9690 7.9690
********
[The article goes on]
attacking the professional skeptics, on the grounds
that they violate scientific method, or do not know
what it is. He tells us about the real classics, the
real scientific work in UFOlogy and Psychical Research,
while freely granting that one must winnow a lot of
straw to find these kernels of wheat. The important
works are scientific monographs, not popular or well
known books.
We are at a turning point in Western
science, where it either hardens into a religion of
reduction, with the professional skeptics as the high
priests and grand inquisitors, or we open up science
to other parts of the spectrum of experience. The physical
sciences are exciting as adventures of ideas, but as
religions, they stink, and will ultimately be rejected
if the books are closed, and the Standard Model becomes
the Bible for all Academics (which is very nearly true
This book is a work of philosophy,
if Western Philosophy is the founding of sciences, which
has happened on rare occasions in the past 2000 years.
In other respects, it does not resemble any academic
philosophy book, since only the failures are included
in the syllabus, i.e., those philosophers who failed
to solve their problems and found a new science.